| 13 July 2011 (USA)
Prey Trailers

One night, several deer hurl themselves unexpectedly against the electric fence of a farm. Seeing deep signs of biting on the animals’ bodies, the farm owners realise that a predator is roaming about the neighbouring woods. Having determined to hunt it down, the farmer and his family penetrate deep into the surrounding forest. They look with bewilderment at the dying environment ravaged by a mysterious evil force. As the sun slowly sinks away, howling resounds through the forest. The hunters have become prey...

Rijndri Load of rubbish!!
- - -
Arrangement i

The following is a DFT calculation (ωB97M-V with the def2-TZVPD basis set) of 2 unconnected molecules or ions with the total composition C3H4F2O.

The LUMO energy is 0.82 eV. The structure (SMILES) is F/C=C1/CO1.F. The value obtained for the HOMO-LUMO gap is 10.79 eV. Its charge is 0. The spin multiplicity is 1.

```
10
Properties=species:S:1:pos:R:3:lowdin_charge:R:1
F 2.97 0.51 -0.04 0.047
C 1.96 -0.20 0.42 -0.087
C 0.95 -0.62 -0.36 -0.211
C -0.39 -1.08 -0.63 -0.045
O 0.34 -0.23 -1.53 -0.008
H 2.19 -0.49 1.44 0.127
H -0.71 -2.06 -1.04 0.129
H -1.21 -0.54 -0.06 0.140
F -0.83 1.79 -0.57 -0.171
H -0.27 1.13 -1.12 0.080
```

***

Arrangement ii

The following is a DFT calculation (ωB97M-V with the def2-TZVPD basis set) of a single C3H4F2O molecule.

The LUMO energy (alpha / beta) is 0.51 / 0.34 eV. The value obtained for the HOMO-LUMO gap (alpha / beta) is 8.86 / 7.73 eV. Its charge is 0. The spin multiplicity is 1.

```
10
Properties=species:S:1:pos:R:3:lowdin_charge:R:1
C -0.44 -0.19 0.59 -0.135
C -1.49 -0.02 -0.47 -0.100
C 0.81 0.70 0.28 -0.341
O 1.94 0.38 -0.30 0.085
F -2.21 1.07 -0.07 -0.043
F 0.55 2.03 0.08 0.036
H -0.88 0.36 1.50 0.138
H -0.19 -1.25 0.86 0.127
H -1.47 -0.13 -1.54 0.097
H 2.14 0.92 -1.09 0.136
```

***

Of the structures shown above, arrangement ii is the least stable.

* * * * *

[1]
Molecular formula: C4H12O
Method: DFT, ωB97M-V with the def2-TZVPD basis set

Each line ends with the Mulliken charge.
CARTESIAN COORDINATES (ANGSTROEM)
C: 0.3379 1.6797 0.7978  -0.45
C: 1.6591 0.9081 1.0432  -0.24
O: 2.4394 0.5255 -0.0947  -0.53
H: -0.5268 1.0907 0.6429  -0.07
H: 0.2929 2.2217 -0.1941  0.27
H: 0.0288 2.3884 1.8122  0.25
H: 2.3911 1.3903 1.7281  0.38
H: 1.3776 -0.1523 1.3574  0.13
H: 3.2185 0.9875 -0.3250  0.28
C: -1.7675 -1.9266 -1.2014  -0.95
C: -1.0131 -0.9147 -0.3948  -0.76
H: -1.9605 -1.4559 -2.1780  0.24
H: -1.2029 -2.8452 -1.5522  0.30
H: -2.7639 -2.0504 -0.7081  0.26
H: -1.7482 -0.2169 0.0690  0.22
H: -0.4931 -0.3666 -1.0971  0.39
H: -0.2692 -1.2633 0.2947  0.28

max |F|	0.0731	hartree/bohr
structure (SMILES)	CCO.CC
energy above the lowest of the compared OMol25 structures with the same formula, charge and spin	47.3	kcal/mol
charge	0
LUMO level	0.991	eV
gap between HOMO and LUMO	11.19	eV

[2]
Molecular formula: C4H12O2
Method: DFT, ωB97M-V with the def2-TZVPD basis set

Each line ends with the Mulliken charge.
CARTESIAN COORDINATES (ANGSTROEM)
C: 0.7058 0.6746 -0.1168  -1.79
C: -0.1828 -0.4659 0.2101  0.66
C: -0.2351 -1.6854 -0.4022  -0.91
C: -1.0299 -0.0210 1.3186  -1.85
H: 0.2353 1.4238 -0.7247  0.33
H: 1.6195 0.6711 -0.9327  0.26
H: 1.2863 1.0464 0.6933  0.64
H: -0.9078 -2.4488 0.0607  0.08
H: 0.3423 -2.1869 -1.0981  0.53
H: -2.0526 -0.3587 1.2166  0.38
H: -1.0822 1.0188 1.5240  0.39
H: -0.5220 -0.1807 2.2273  0.67
H: -2.6319 0.3707 -0.9030  0.36
H: -2.9084 1.6419 -1.6328  0.38
O: -2.9312 0.6827 -1.8411  -0.94
H: 2.7106 -0.2463 0.2799  0.40
H: 3.9447 0.0815 -0.3951  0.38
O: 3.6394 -0.0178 0.5162  -0.98
- - -
**Here the article continues**
Bereamic Awesome Movie
Intcatinfo A Masterpiece!
Derrick Gibbons An old-fashioned movie made with new-fashioned finesse.
kluseba This is now already the fifth part of my little review series: Movies that are way better than you expect.When I bought this movie at a low price a couple of days ago I expected some entertaining gore horror movie and the short length of only seventy-six minutes seemed to underline my expectations. What I discovered is a fast paced diversified thriller with many surprises that I didn't see coming at all.In only five minutes or so the director introduces a complicate family drama to us: The young main actor that wants to finally start a new life with his pregnant girlfriend in a city, his girlfriend itself who is torn between her family and their enterprise and the love of her life, her egoist father who secretly worked with pesticides and is constantly in search for further power, his ex-wife who helped him with his conspiracies and still takes a big place in his life, the father's grim brother that feels exploited by him, their father who suffers a strange disease and feels the dark shadows coming over the family - they are all part of the following race and when they go out for a hunt, they become not only the prey of some strange boars that have gone wild but also each other's prey. Jealousy, pride and egoism lead to many surprising and radical scenes and the dramatic turns of events all seem to liberate the worst in each of them. A quite simple plot turns into a haunting and surprising story that will keep you on the edge of your seat until the very end.It's incredible that the director had the time to introduce half of a dozen profound and diversified characters to the movie and mix the horror hunt with influences from the drama and psychological suspense genre and that's what makes this movie so unique and worthwhile. You will quickly realize that the movie focuses on the monsters in the human soul and not that much on some pigs gone crazy even if that aspect is also explained in a credible way. The hunting story itself includes a dark atmosphere, some gripping survival horror parts with a couple of good ideas and some gore scenes that are not too exaggerated and fit well to the general atmosphere and the character's extreme changes. The special effects are not outstanding but done in a truly solid and credible way in comparison to many other low or no budget horror flicks that show too many artificial and unreal monsters and quickly turn me off. The good camera work and the well done soundtrack are other positive points that make this movie one of the best of its kind and a little unexpected masterpiece gem.In the end, you should not expect anything revolutionary but in its genre and for what it is supposed to be, this movie really left a deep and permanent impression and I will surely watch it a few times again. Make sure to check this underestimated French horror flick out in your local video shop.
Record 1
A structure of composition C4H14NO3 in a non-equilibrium geometry, computed with the ωB97M-V functional and the def2-TZVPD basis.

XYZ file:
```
22
Properties=species:S:1:pos:R:3:forces:R:3
C -1.169 -0.897 -0.758 1.2842 -2.5137 2.5618
O 0.157 -0.662 -0.475 2.4159 -0.8841 0.7029
C -1.955 0.286 -0.265 2.0372 0.6875 -2.6469
C -0.995 1.518 -0.388 -1.5946 -0.2509 -3.4152
C -0.495 2.174 0.860 1.7850 -1.3051 2.1153
N 0.952 1.841 1.151 -2.6291 -3.4071 1.9201
H -1.176 -1.194 -1.779 -1.1925 0.2327 -1.4684
H -1.338 -1.860 -0.181 -1.0712 0.6920 -0.5580
H -2.753 0.497 -0.947 -1.0165 -0.1521 0.0403
H -2.235 0.277 0.720 -1.0821 -0.7007 2.4703
H -0.188 1.205 -1.181 -1.1461 0.9688 2.0363
H -1.732 2.097 -0.995 0.9561 1.1539 0.6883
H -1.093 1.973 1.863 0.9062 -0.3268 -2.1022
H -0.502 3.217 0.873 -0.2959 1.9682 -0.6451
H 1.651 2.227 0.619 1.2714 1.8117 -1.9255
H 1.051 0.814 0.924 -0.2254 1.1523 0.4776
H 1.992 -2.224 1.388 1.7808 0.4555 -0.4806
H 2.949 -2.005 0.209 -0.4923 -0.2080 2.2826
O 2.947 -1.958 1.231 -1.0971 -0.2253 -1.3173
H 0.771 -1.737 -0.520 -0.0798 0.3441 -0.8149
H 1.769 -2.775 -1.599 0.4380 0.1787 -1.5979
O 1.393 -2.814 -0.748 -0.9523 0.3286 1.6764
```
Forces are in eV/Å.

Properties
Energy ... -12006.418 eV
Total charge ... -1
F_max ... 4.71 eV/A

List of natural (NBO) charges in e, atom by atom:
1. C -0.070
2. O -0.893
3. C -0.417
4. C -0.437
5. C -0.220
6. N -0.876
7. H 0.143
8. H 0.147
9. H 0.174
10. H 0.190
11. H 0.257
12. H 0.177
13. H 0.165
14. H 0.178
15. H 0.340
16. H 0.396
17. H 0.480
18. H 0.499
19. O -1.000
20. H 0.501
21. H 0.430
22. O -1.163



Record 2
A cluster of 2 separate species, C4H14NO3 in total in a non-equilibrium geometry, computed with the ωB97M-V functional and the def2-TZVPD basis.

XYZ file:
```
22
Properties=species:S:1:pos:R:3:forces:R:3
C -0.281 -1.622 -1.171 0.3073 -0.5677 0.3482
O 0.955 -2.071 -0.643 0.3512 0.6208 -0.0678
C -0.660 -0.237 -0.676 0.8062 -0.5840 -0.1635
C -0.913 -0.207 0.817 0.2924 0.8379 0.3786
C -1.639 1.077 1.272 0.8987 0.1469 -0.5365
O -1.264 2.169 0.395 -0.4291 -0.2903 -0.5559
N 0.507 0.663 -1.017 0.0294 -0.2511 0.7615
H -1.079 -2.286 -0.862 -0.3094 -0.2221 -0.3043
H -0.150 -1.655 -2.254 -0.3504 0.1307 -0.1112
H 0.844 -2.752 0.015 -0.2119 -0.2938 0.2214
H -1.493 0.074 -1.281 -0.4749 0.3998 -0.0513
H 0.039 -0.266 1.341 0.1713 -0.1457 -0.0937
H -1.478 -1.085 1.118 -0.1738 -0.0467 -0.0481
H -1.272 1.457 2.214 -0.3768 -0.6770 0.6910
H -2.689 0.823 1.275 -0.4481 0.6712 0.0247
H -2.031 2.689 0.133 0.0067 -0.0409 0.1638
H 0.880 0.407 -1.926 0.0128 0.4397 -0.2417
H 0.254 1.646 -0.892 -0.2945 0.0506 -0.3614
H 1.261 0.497 -0.327 0.2247 -0.3393 0.0349
H 3.215 0.823 1.175 0.0962 -0.1008 0.1187
H 2.843 -0.655 1.302 0.6846 -1.7063 0.7053
O 2.566 0.153 0.940 -0.8125 1.9682 -0.9129
```
Forces are in eV/Å.

Properties
Energy ... -12001.420 eV
Total charge ... +1
F_max ... 2.32 eV/A

List of natural (NBO) charges in e, atom by atom:
1. C -0.080
2. O -0.734
3. C -0.056
4. C -0.460
5. C -0.068
6. O -0.775
Perry Mercer (Blackace) I watch this movie on Netflick while visiting family in New York. First of all the whole movie was subtitled as this is a foreign film that was never dubbed (at least not for Netflix). The plot isn't too complex. A family comes together for a gathering at the father's home. Claire (the daughter) is running the pesticide business for the family and business has been doing poorly as the competition has improved their formula. Her father tells her on the phone that she needs to get back to the labs and come up with a new formula that can compete, as she had done in the past. Claire is pregnant and her husband Nathan is their to share the good new to the father. The day everyone is suppose to meet, Claire's brother and father are discussing business out side as they walk along the wire fenced landscape. All of a sudden, deer run into the wired wall and kill themselves trying to get through the wired fencing. The brother Nicolas decides he wants to find out what's scaring the deer. He asks Nathan if he'll come, but Nathan isn't a hunter and he wants to wait for Claire & her mother to come home.When Nicholas & his father discover crazy wild boar are causing the ruckus, they go back to the house to get more weapons and ammo. This time Nathan decides to go along with David. What happens next is all out war as the boar chases the men throughout the fields, up trees, into ditches and through fences as they try to kill the crazed boars before they kill them.Now, I didn't follow the story too well do to my daughter running around in front of me and screaming every time a loud sound occurred on the scream. What I did find out is pesticides Claire tested was being dumped in the small river and lakes near by. This was affecting the boars and making them go crazy. There is a lot of blood, guts, tension, drama and twists in this movie. Character development was terrible though, so you really won't care who gets killed. You'll root for Nathan, but care less about the other characters The end left me scratching my head. If you can watch this on Netflix, go for it. It's a short film at only 84 mins. It's far from perfect, but like the movie High Tension, it's worth at least one viewing. Don't waste your money buying it though. It's not that good. I wish the ending was better though. Check it out.
Greenzombidog A family of industrialists go on a hunting trip and soon realise the error of using nasty chemicals in their factories.This Eco terror horror movie treads some old ground and anyone familiar with the mutant bear movie 'Prophecy' will recognise some of this movies key moments.Although none of the ideas here are original the movie itself is still very enjoyable. From the early rustling in the bushes scenes to the all out chase through the swamp at night this movie does a good job raising the tension levels. You may not fall in love with the characters as none of them are particularly likable but you'll still be rooting for them to escape the angry bores.The creature effects are great. It's all real physical effects too, none of that terrible looking CG stuff here which really added to the believability of the creatures.If you watch this and enjoy it like I did I suggest you look up the aforementioned 'Prophecy' movie as it is superior to this, but 'Prey' is still worth seeing.
Brian Harris (wildsidecinema) I know this film has received quite a bit of press and discussion on the Wildside forums but for some reason I was at a loss for what this film was about when I first rented it. As it progressed, I got the picture rather quick as Prey doesn't take long at all to jump into the thick of things. It's no surprise (or spoiler) that Prey's killer pigs aren't normal but I probably should warn creature feature fans that these particular piggies aren't of the deformed variety. They do, however, appear to be real deal FX creations (which they reveal sparingly) instead of CG though and that really helped me remain within the film.The actors all performed admirably but their characters were, in my opinion, rather bland and lacked personality. Not only did they come off flat but their motivations will be disappointingly apparent to astute viewers, leading to a predictability that siphons away some of the impact of the finale. I found myself losing interest in the fates of the characters, even the remotely likable ones, of which there weren't many. There's certainly more than enough tension to hold your attention though and it never lets up, not even for a minute.Prey is a decent thriller with some gruesome sequences of woodland carnage but it's nothing I could see myself watching again or even purchasing for my personal collection. When it comes to killer pig flicks, it is infinitely superior exercise in suspense than a film like Pig Hunt, which was completely gonzo, but the ecological disaster concept is stale and the entire film lacks replay value for me. Still…not a bad film so give it a shot, you may enjoy it.